Drinking water promotion

Drinking water promotion
To promote the consumption of water by making high quality drinking water easily accessible to occupants.
Water testing is performed at drinking water locations (i.e. sinks, water fountains) by collecting water samples to be reviewed in an offsite lab. A complete description of the sampling protocol and the field equipment specifications and methodologies can be viewed in the WELL Performance Verification Guidebook.
Preliminary water quality testing may provide useful feedback for the project team during the integrative design process. However, the official water testing will be performed by the WELL Performance Testing Agent during the WELL Performance Verification stage of the WELL Certification process. While preliminary testing is not required by projects, the field equipment specifications and methodologies followed by the WELL Performance Testing Agent can be found in the WELL Performance Verification Guidebook.
Per the WELL Core & Shell matrix, the building is required to implement WELL requirements for the extent of developer buildout and have confirmed tenant support. In this case, this means either providing tenants with base building water that meets the feature requirements or providing tenants with the same treatment system (or subsidy of treatment system) used at the point of sampling during Performance Verification.
No, all water, including reclaimed rain water, being used in situations that do not lead to human contact are not required to meet the water quality requirements.
### Crystal structures that have nothing to do with the piece
********
No. 1
Starting from a cell relaxed with PBE, the powder XRD pattern of LaMo6S8 was computed for copper Kα.

Most intense lines, 2θ = 5–70°, in order of rising 2θ:
13.47 deg, intensity 100.0
18.93 deg, intensity 61.8
30.63 deg, intensity 66.5
33.50 deg, intensity 59.8
40.52 deg, intensity 51.0
41.55 deg, intensity 73.6
43.30 deg, intensity 58.3
45.87 deg, intensity 87.9

Cell and atoms:
a = 6.5743 Å, b = 6.5743 Å, c = 6.5743 Å
α = 88.96°, β = 88.96°, γ = 88.96°
Fractional positions:
La (0.0000, 0.0000, 0.0000)
Mo (0.2267, 0.5624, 0.4207)
Mo (0.4207, 0.2267, 0.5624)
Mo (0.4376, 0.5793, 0.7733)
Mo (0.5624, 0.4207, 0.2267)
Mo (0.5793, 0.7733, 0.4376)
Mo (0.7733, 0.4376, 0.5793)
S (0.1276, 0.3731, 0.7467)
S (0.2442, 0.2442, 0.2442)
S (0.2533, 0.8724, 0.6269)
S (0.3731, 0.7467, 0.1276)
S (0.6269, 0.2533, 0.8724)
S (0.7467, 0.1276, 0.3731)
S (0.7558, 0.7558, 0.7558)
S (0.8724, 0.6269, 0.2533)

No. 2
Starting from a cell relaxed with PBE, the powder XRD pattern of Mn3V2Si3 was computed for copper Kα.

Most intense lines, 2θ = 5–70°, in order of rising 2θ:
29.18 deg, intensity 22.9
31.45 deg, intensity 19.1
38.93 deg, intensity 37.8
40.40 deg, intensity 25.1
43.43 deg, intensity 100.0
44.40 deg, intensity 76.5
45.73 deg, intensity 97.0
65.64 deg, intensity 23.8

Cell and atoms:
a = 7.0675 Å, b = 7.0675 Å, c = 4.7958 Å
α = 90.00°, β = 90.00°, γ = 120.00°
Fractional positions:
Mn (0.0000, 0.2610, 0.2500)
Mn (0.0000, 0.7390, 0.7500)
Mn (0.2610, 0.0000, 0.2500)
Mn (0.2610, 0.2610, 0.7500)
Mn (0.7390, 0.0000, 0.7500)
Mn (0.7390, 0.7390, 0.2500)
V (0.3333, 0.6667, 0.0000)
V (0.3333, 0.6667, 0.5000)
V (0.6667, 0.3333, 0.0000)
V (0.6667, 0.3333, 0.5000)
Si (0.0000, 0.3807, 0.7500)
Si (0.0000, 0.6193, 0.2500)
Si (0.3807, 0.0000, 0.7500)
Si (0.3807, 0.3807, 0.2500)
Si (0.6193, 0.0000, 0.2500)
Si (0.6193, 0.6193, 0.7500)

No. 3
Starting from a cell relaxed with PBE, the powder XRD pattern of Er2Al4CoGe2 was computed for copper Kα.

Most intense lines, 2θ = 5–70°, in order of rising 2θ:
9.11 deg, intensity 68.7
27.55 deg, intensity 36.3
30.76 deg, intensity 70.6
31.69 deg, intensity 57.9
32.15 deg, intensity 63.1
41.77 deg, intensity 100.0
44.06 deg, intensity 58.9
52.76 deg, intensity 24.1

Cell and atoms:
a = 10.1372 Å, b = 10.1372 Å, c = 10.1372 Å
α = 156.61°, β = 156.61°, γ = 33.32°
Fractional positions:
Er (0.1847, 0.1847, 0.0000)
Er (0.8153, 0.8153, 0.0000)
Al (0.0662, 0.5662, 0.5000)
Al (0.4338, 0.9338, 0.5000)
Al (0.5662, 0.0662, 0.5000)
Al (0.9338, 0.4338, 0.5000)
Co (0.0000, 0.0000, 0.0000)
Ge (0.3356, 0.3356, 0.0000)
Ge (0.6644, 0.6644, 0.0000)

No. 4
Starting from a cell relaxed with PBE, the powder XRD pattern of Er2GaCo2 was computed for copper Kα.

Most intense lines, 2θ = 5–70°, in order of rising 2θ:
27.58 deg, intensity 34.1
32.94 deg, intensity 17.3
35.21 deg, intensity 100.0
36.51 deg, intensity 26.2
39.63 deg, intensity 46.8
41.55 deg, intensity 32.9
45.08 deg, intensity 23.8
61.57 deg, intensity 13.7

Cell and atoms:
********
Yes. According to WELL Performance Verification Guidebook, water for human contact is conducted on cold water. However, for mixed water faucets, the hot supply should be turned off. If water temperature conditions cannot be altered, testing is conducted using the available water.
No. If the restrooms are outside the WELL project boundary, the project is not required to meet the water quality requirements at these locations. Performance testing would only occur in fixtures within the project space. However, if the tenant space does not have a drinking fixture, the next closest fixture would be tested (for example: bathroom fixtures outside of the project boundary).
Yes. If the drinking water dispenser is within 30m of all parts of the regularly occupied floor space, it can be considered to meet the optimization feature. Please note that this drinking water dispenser would also need to achieve the water quality precondition requirements if it is being considered for an optimization, even when outside of the project boundary.